Source:
/*
Starting from a cell relaxed with GGA-PBE, the powder XRD pattern of Ti4AlGa was calculated for Cu Kα.

Most intense lines, 2θ from 15° to 90°, by angle:
38.79 deg, rel. 100
43.14 deg, rel. 36
48.82 deg, rel. 12
67.17 deg, rel. 18
76.17 deg, rel. 18
84.47 deg, rel. 9

Structure:
Cell: 5.043 5.043 5.936 Å, 107.10 107.10 43.42°
Atoms (fractional coordinates):
Ti: 0.164 0.164 0.332
Ti: 0.164 0.164 0.833
Ti: 0.836 0.836 0.167
Ti: 0.836 0.836 0.668
Al: 0.500 0.500 0.500
Ga: 0.500 0.500 0.000

***

Starting from a cell relaxed with GGA-PBE, the powder XRD pattern of Ca3La2Hg4 was calculated for Cu Kα.

Most intense lines, 2θ from 15° to 90°, by angle:
20.73 deg, rel. 44
31.55 deg, rel. 100
33.17 deg, rel. 93
46.47 deg, rel. 23
58.27 deg, rel. 23
59.26 deg, rel. 18

Structure:
Cell: 5.404 5.404 10.698 Å, 90.11 90.11 59.91°
Atoms (fractional coordinates):
Ca: 0.000 0.000 0.000
Ca: 0.334 0.334 0.412
Ca: 0.666 0.666 0.588
La: 0.333 0.333 0.797
La: 0.667 0.667 0.203
Hg: 0.001 0.001 0.338
Hg: 0.334 0.334 0.104
Hg: 0.666 0.666 0.896
Hg: 0.999 0.999 0.662

~~~~~

[1]
Theoretical XRD peak list
Compound: KHg
Radiation: Cu Kα
Structure: a GGA-PBE-relaxed structure

```
data_KHg
_chemical_formula_sum 'K4 Hg4'
_cell_length_a 6.7186
_cell_length_b 7.0411
_cell_length_c 7.2150
_cell_angle_alpha 107.86
_cell_angle_beta 101.93
_cell_angle_gamma 91.64
_symmetry_space_group_name_H-M 'P -1'
_symmetry_Int_Tables_number 2
loop_
_symmetry_equiv_pos_as_xyz
'x,y,z'
'-x,-y,-z'
loop_
_atom_site_label
_atom_site_type_symbol
_atom_site_fract_x
_atom_site_fract_y
_atom_site_fract_z
K1 K 0.1842 0.2905 0.1397
K2 K 0.2577 0.8428 0.5516
Hg1 Hg 0.2950 0.3916 0.6941
Hg2 Hg 0.3595 0.7751 0.0598
```

Peak list (6 most intense, 2θ from 10° to 80°, by angle)
2θ = 13.26°, rel. 52
2θ = 13.54°, rel. 61
2θ = 19.46°, rel. 97
2θ = 21.67°, rel. 62
2θ = 31.27°, rel. 100
2θ = 33.37°, rel. 52

---

[2]
Theoretical XRD peak list
Compound: Re5Mo
Radiation: Cu Kα
Structure: a GGA-PBE-relaxed structure

```
data_Re5Mo
_chemical_formula_sum 'Re10 Mo2'
_cell_length_a 3.9197
_cell_length_b 7.3325
_cell_length_c 7.3443
_cell_angle_alpha 106.54
_cell_angle_beta 105.48
_cell_angle_gamma 105.49
_symmetry_space_group_name_H-M 'P -1'
_symmetry_Int_Tables_number 2
loop_
_symmetry_equiv_pos_as_xyz
'x,y,z'
'-x,-y,-z'
loop_
_atom_site_label
_atom_site_type_symbol
_atom_site_fract_x
_atom_site_fract_y
_atom_site_fract_z
Re1 Re 0.1188 0.2051 0.0319
Re2 Re 0.1287 0.8766 0.3800
Re3 Re 0.3700 0.2855 0.4539
Re4 Re 0.3771 0.9617 0.7931
Re5 Re 0.3780 0.6285 0.1276
Mo1 Mo 0.1278 0.5427 0.7120
```

Peak list (6 most intense, 2θ from 10° to 80°, by angle)
2θ = 13.57°, rel. 3
2θ = 25.39°, rel. 1
2θ = 39.80°, rel. 100
2θ = 46.29°, rel. 49
2θ = 67.50°, rel. 16
2θ = 67.59°, rel. 16

---

[3]
Theoretical XRD peak list
Compound: Dy3Ho2Lu2Te2Pd2
Radiation: Cu Kα
Structure: a GGA-PBE-relaxed structure

```
data_Dy3Ho2Lu2Te2Pd2
_chemical_formula_sum 'Dy6 Ho4 Lu4 Te4 Pd4'
_cell_length_a 3.9335
_cell_length_b 15.5763
_cell_length_c 9.5979
_cell_angle_alpha 90.00
_cell_angle_beta 90.00
_cell_angle_gamma 90.00
_symmetry_space_group_name_H-M 'I m m 2'
_symmetry_Int_Tables_number 44
loop_
_symmetry_equiv_pos_as_xyz
'x,y,z'
'-x,-y,z'
'-x,y,z'
'x,-y,z'
'x+1/2,y+1/2,z+1/2'
'-x+1/2,-y+1/2,z+1/2'
'-x+1/2,y+1/2,z+1/2'
'x+1/2,-y+1/2,z+1/2'
loop_
_atom_site_label
_atom_site_type_symbol
_atom_site_fract_x
_atom_site_fract_y
_atom_site_fract_z
Dy1 Dy 0.0000 0.0000 0.0000
Dy2 Dy 0.0000 0.1298 0.5830
Ho1 Ho 0.0000 0.3555 0.7350
Lu1 Lu 0.0000 0.3174 0.3751
Te1 Te 0.0000 0.0000 0.3356
Te2 Te 0.0000 0.5000 0.2374
Pd1 Pd 0.0000 0.2348 0.0676
```

Peak list (6 most intense, 2θ from 10° to 80°, by angle)
2θ = 28.47°, rel. 33
2θ = 29.93°, rel. 49
2θ = 32.88°, rel. 62
2θ = 33.71°, rel. 100
2θ = 34.16°, rel. 52
2θ = 46.16°, rel. 30

---

[4]
Theoretical XRD peak list
Compound: Ho5TlZn4
Radiation: Cu Kα
Structure: a GGA-PBE-relaxed structure

```
data_Ho5TlZn4
_chemical_formula_sum 'Ho5 Tl1 Zn4'
_cell_length_a 3.5718
_cell_length_b 3.5718
*/
Brief:
Duplicate the whole of the calculation results earlier on word for word.
Outcome:
Starting from a cell relaxed with GGA-PBE, the powder XRD pattern of Ti4AlGa was calculated for Cu Kα.

Most intense lines, 2θ from 15° to 90°, by angle:
38.79 deg, rel. 100
43.14 deg, rel. 36
48.82 deg, rel. 12
67.17 deg, rel. 18
76.17 deg, rel. 18
84.47 deg, rel. 9

Structure:
Cell: 5.043 5.043 5.936 Å, 107.10 107.10 43.42°
Atoms (fractional coordinates):
Ti: 0.164 0.164 0.332
Ti: 0.164 0.164 0.833
Ti: 0.836 0.836 0.167
Ti: 0.836 0.836 0.668
Al: 0.500 0.500 0.500
Ga: 0.500 0.500 0.000

***

Starting from a cell relaxed with GGA-PBE, the powder XRD pattern of Ca3La2Hg4 was calculated for Cu Kα.

Most intense lines, 2θ from 15° to 90°, by angle:
20.73 deg, rel. 44
31.55 deg, rel. 100
33.17 deg, rel. 93
46.47 deg, rel. 23
58.27 deg, rel. 23
59.26 deg, rel. 18

Structure:
Cell: 5.404 5.404 10.698 Å, 90.11 90.11 59.91°
Atoms (fractional coordinates):
Ca: 0.000 0.000 0.000
Ca: 0.334 0.334 0.412
Ca: 0.666 0.666 0.588
La: 0.333 0.333 0.797
La: 0.667 0.667 0.203
Hg: 0.001 0.001 0.338
Hg: 0.334 0.334 0.104
Hg: 0.666 0.666 0.896
Hg: 0.999 0.999 0.662

~~~~~

[1]
Theoretical XRD peak list
Compound: KHg
Radiation: Cu Kα
Structure: a GGA-PBE-relaxed structure

```
data_KHg
_chemical_formula_sum 'K4 Hg4'
_cell_length_a 6.7186
_cell_length_b 7.0411
_cell_length_c 7.2150
_cell_angle_alpha 107.86
_cell_angle_beta 101.93
_cell_angle_gamma 91.64
_symmetry_space_group_name_H-M 'P -1'
_symmetry_Int_Tables_number 2
loop_
_symmetry_equiv_pos_as_xyz
'x,y,z'
'-x,-y,-z'
loop_
_atom_site_label
_atom_site_type_symbol
_atom_site_fract_x
_atom_site_fract_y
_atom_site_fract_z
K1 K 0.1842 0.2905 0.1397
K2 K 0.2577 0.8428 0.5516
Hg1 Hg 0.2950 0.3916 0.6941
Hg2 Hg 0.3595 0.7751 0.0598
```

Peak list (6 most intense, 2θ from 10° to 80°, by angle)
2θ = 13.26°, rel. 52
2θ = 13.54°, rel. 61
2θ = 19.46°, rel. 97
2θ = 21.67°, rel. 62
2θ = 31.27°, rel. 100
2θ = 33.37°, rel. 52

---

[2]
Theoretical XRD peak list
Compound: Re5Mo
Radiation: Cu Kα
Structure: a GGA-PBE-relaxed structure

```
data_Re5Mo
_chemical_formula_sum 'Re10 Mo2'
_cell_length_a 3.9197
_cell_length_b 7.3325
_cell_length_c 7.3443
_cell_angle_alpha 106.54
_cell_angle_beta 105.48
_cell_angle_gamma 105.49
_symmetry_space_group_name_H-M 'P -1'
_symmetry_Int_Tables_number 2
loop_
_symmetry_equiv_pos_as_xyz
'x,y,z'
'-x,-y,-z'
loop_
_atom_site_label
_atom_site_type_symbol
_atom_site_fract_x
_atom_site_fract_y
_atom_site_fract_z
Re1 Re 0.1188 0.2051 0.0319
Re2 Re 0.1287 0.8766 0.3800
Re3 Re 0.3700 0.2855 0.4539
Re4 Re 0.3771 0.9617 0.7931
Re5 Re 0.3780 0.6285 0.1276
Mo1 Mo 0.1278 0.5427 0.7120
```

Peak list (6 most intense, 2θ from 10° to 80°, by angle)
2θ = 13.57°, rel. 3
2θ = 25.39°, rel. 1
2θ = 39.80°, rel. 100
2θ = 46.29°, rel. 49
2θ = 67.50°, rel. 16
2θ = 67.59°, rel. 16

---

[3]
Theoretical XRD peak list
Compound: Dy3Ho2Lu2Te2Pd2
Radiation: Cu Kα
Structure: a GGA-PBE-relaxed structure

```
data_Dy3Ho2Lu2Te2Pd2
_chemical_formula_sum 'Dy6 Ho4 Lu4 Te4 Pd4'
_cell_length_a 3.9335
_cell_length_b 15.5763
_cell_length_c 9.5979
_cell_angle_alpha 90.00
_cell_angle_beta 90.00
_cell_angle_gamma 90.00
_symmetry_space_group_name_H-M 'I m m 2'
_symmetry_Int_Tables_number 44
loop_
_symmetry_equiv_pos_as_xyz
'x,y,z'
'-x,-y,z'
'-x,y,z'
'x,-y,z'
'x+1/2,y+1/2,z+1/2'
'-x+1/2,-y+1/2,z+1/2'
'-x+1/2,y+1/2,z+1/2'
'x+1/2,-y+1/2,z+1/2'
loop_
_atom_site_label
_atom_site_type_symbol
_atom_site_fract_x
_atom_site_fract_y
_atom_site_fract_z
Dy1 Dy 0.0000 0.0000 0.0000
Dy2 Dy 0.0000 0.1298 0.5830
Ho1 Ho 0.0000 0.3555 0.7350
Lu1 Lu 0.0000 0.3174 0.3751
Te1 Te 0.0000 0.0000 0.3356
Te2 Te 0.0000 0.5000 0.2374
Pd1 Pd 0.0000 0.2348 0.0676
```

Peak list (6 most intense, 2θ from 10° to 80°, by angle)
2θ = 28.47°, rel. 33
2θ = 29.93°, rel. 49
2θ = 32.88°, rel. 62
2θ = 33.71°, rel. 100
2θ = 34.16°, rel. 52
2θ = 46.16°, rel. 30

---

[4]
Theoretical XRD peak list
Compound: Ho5TlZn4
Radiation: Cu Kα
Structure: a GGA-PBE-relaxed structure

```
data_Ho5TlZn4
_chemical_formula_sum 'Ho5 Tl1 Zn4'
_cell_length_a 3.5718
_cell_length_b 3.5718